Отже, вітаємо усіх з завершенням конкурсу "Цінність спільноти Quac в вашому житті". Створюючи цей конкурс ми хотіли почути, як робота нашої спільноти вплинула на ваше життя. Читаючи статті, ми побачили абсолютно різні роздуми. Дехто з вас краще зрозумів нашу думку і написав влучні слова. Хтось просто доповнив конкурс прекрасними фотографіями та побажаннями! Дякуємо усім, хто взяв участь! З Днем Народження QUAC!
So, congratulations to all on the completion of the "Quac Community Value in Your Life" contest. In creating this contest, we wanted to hear how the work of our community has affected your life. Reading the articles, we saw completely different thoughts. Some of you have better grasped our point and written the right words. Someone just supplemented the contest with beautiful photos and wishes! We are grateful to everyone who took part! Happy Birthday QUAC!
Під кожним фото ми прикріпили основні слова про Quac з постів кожного учасника ( щоб прочитати повністю, клацайте на фото )
Under each photo, we have attached the main words about Quac from the posts of each participant (to read in full, click on the photo)
Contest Results:
🏆Виграшний голос @blocktrades
I want to say that the Ukrainian community is really lucky with a community like Quac. Because I'm a member of many communities, I can compare the support of the Quac community and other communities of its members and I can say that we have very serious support. This motivates me a lot of Ukrainians to intensify their efforts and create really high-quality content. After making sure that the quality content really received worthy support, I invited my wife and my sister to the Quac community, who also appreciated the benefits of creating quality content. I want to thank the people who work hard for the Quac community and choose really high-quality content for the daily sample, as well as the curator of the Quac @blocktrades community for his continued support.
💸Призовий переказ 20 Hive від Quac
A ray of light in the darkness of the unknown - that's what the QUAC community has become for us. And I want to thank the organizers of my participating in the competition. There was a certain confidence in tomorrow, when I knew for sure that a few hours with love spent time on your favourite blogging will be rewarded! I don't know any other community in Hive that appreciates people's work so fairly!
So little words you need to write of your author's story and make a beautiful design of the article, using only three beautiful quality photos. These are nice simple rules that are easy to follow. Therefore, I would like to thank once again the curators of this community for their hard work in creating the rules of quality Ukrainian content on the hive blockchain. My daughters and I are really big fans of the Quac community, which makes our lives interesting and full. Happy Birthday QUAC!
💸Призовий переказ 15 Hive від Quac
Traits that impress me in the QUAC community:
There are rules clearly spelled out. And I like it!! It's easier to create when you have a starting point. You can not follow the rules... But then you will not be included in the sample. That's why most people try and it's usually interesting to read.
~~~
# Cs2V4O9
Computed powder XRD pattern, λ = 1.5418 Å (Cu Kα). Input: a crystal structure in Alexandria, relaxed with PBE+U.

Cell and atoms:
```
data_Cs2V4O9
_chemical_formula_sum 'Cs4 V8 O18'
_cell_length_a 5.8511
_cell_length_b 5.8511
_cell_length_c 15.5906
_cell_angle_alpha 90.00
_cell_angle_beta 90.00
_cell_angle_gamma 90.00
_space_group_name_H-M_alt 'P 1'
_space_group_IT_number 1
loop_
_space_group_symop_operation_xyz
'x,y,z'
loop_
_atom_site_label
_atom_site_fract_x
_atom_site_fract_y
_atom_site_fract_z
_atom_site_occupancy
Cs1 0.2332 0.2500 0.0000 1
Cs2 0.2500 0.7668 0.5000 1
Cs3 0.7500 0.2332 0.5000 1
Cs4 0.7668 0.7500 0.0000 1
V1 0.2118 0.3544 0.2973 1
V2 0.2118 0.3544 0.7027 1
V3 0.3544 0.7882 0.2027 1
V4 0.3544 0.7882 0.7973 1
V5 0.6456 0.2118 0.2027 1
V6 0.6456 0.2118 0.7973 1
V7 0.7882 0.6456 0.2973 1
V8 0.7882 0.6456 0.7027 1
O1 0.1196 0.6802 0.2828 1
O2 0.1196 0.6802 0.7171 1
O3 0.2634 0.2818 0.3991 1
O4 0.2634 0.2818 0.6009 1
O5 0.2818 0.7366 0.1009 1
O6 0.2818 0.7366 0.8991 1
O7 0.3198 0.1196 0.2172 1
O8 0.3198 0.1196 0.7829 1
O9 0.5000 0.5000 0.2500 1
O10 0.5000 0.5000 0.7500 1
O11 0.6802 0.8804 0.2172 1
O12 0.6802 0.8804 0.7829 1
O13 0.7182 0.2634 0.1009 1
O14 0.7182 0.2634 0.8991 1
O15 0.7366 0.7182 0.3991 1
O16 0.7366 0.7182 0.6009 1
O17 0.8804 0.3198 0.2828 1
O18 0.8804 0.3198 0.7171 1
```

Peak list (10 most intense, 10 to 80 degrees two-theta, by angle)
2θ = 22.23°, intensity 32
2θ = 22.84°, intensity 46
2θ = 27.56°, intensity 100
2θ = 30.56°, intensity 52
2θ = 32.69°, intensity 14
2θ = 36.07°, intensity 14
2θ = 38.48°, intensity 20
2θ = 46.30°, intensity 23
2θ = 52.50°, intensity 20
2θ = 57.97°, intensity 14

----------

(1)
Calculated powder diffraction line list of Pm2Co for Cu Kα (weighted mean of Kα1 and Kα2), from a cell relaxed with GGA-PBE.
Peak positions follow from Bragg's law for the DFT cell and can differ from measured ones.

Structural model:
```
Pm2Co
1.0
7.0089 0.0000 0.0000
0.0000 4.0552 0.0000
-2.3453 0.0000 5.8795
Pm Co
4 2
direct
0.2473 0.0000 0.2418
0.2527 0.5000 0.7582
0.7473 0.5000 0.2418
0.7527 0.0000 0.7582
0.0000 0.5000 0.0000
0.5000 0.0000 0.0000
```

The 10 most intense peaks (10 to 90 degrees two-theta), in order of rising 2θ:
27.36°, I = 66
30.41°, I = 17
32.62°, I = 100
44.74°, I = 42
48.78°, I = 32
53.24°, I = 11
55.03°, I = 13
56.41°, I = 14
68.34°, I = 11
74.80°, I = 12

=====

(2)
Calculated powder diffraction line list of Th2PaSe6 for Cu Kα (weighted mean of Kα1 and Kα2), from a cell relaxed with GGA-PBE.
Peak positions follow from Bragg's law for the DFT cell and can differ from measured ones.

Structural model:
```
Th2PaSe6
1.0
6.7613 0.0000 0.0000
0.0000 6.7613 0.0000
0.0000 0.0000 13.2425
Th Pa Se
4 2 12
direct
0.0000 0.0000 0.1670
0.0000 0.0000 0.8330
0.5000 0.5000 0.3330
0.5000 0.5000 0.6670
0.0000 0.0000 0.5000
0.5000 0.5000 0.0000
0.1939 0.1939 0.3358
0.1939 0.1939 0.6642
0.1973 0.1973 0.0000
0.3027 0.6973 0.5000
0.3061 0.6939 0.1642
0.3061 0.6939 0.8358
0.6939 0.3061 0.1642
~~~
End of the calculated crystals:
Financial reward for diligence. In the international community, even a good article may not be noticed ... And in QUAC 99.9% that you will receive an award. Then there is an incentive to continue working. So congratulations to the community and all of us on our birthdays!
✨Почесні згадки:
It's great that because of the support, which is not so pleasant in all communities, new faces and interesting posts appear. It is gratifying that due to community rules, low-quality content is automatically eliminated. And if you have joined the community, you know for sure that there will be something to read and see.Thanks to the samples, you want to create high-quality and beautiful material that will not only get lost somewhere in the tape, but will also be interesting or useful to someone. I want to thank everyone who supports the life of our Quac community, as well as the Quac community curator @blocktrades for his continued support.
First of all, I want to congratulate the Quac community on its first and most important birthday! Wish for more community, more interesting content, more new experiences and experiences! And behind my shoulders only a few months on hive. And those few months were a real adventure. I wrote my posts and read others, waited for the sample and was happy with the award!
It is also nice that quality photos and text are supported by all members of the community, as well as the constant curator @blocktrades. This personally encourages me to write better. Happy birthday, Quac! Further prosperity to all of us!
Дякую Quac за вашу згадку мене))))
Дякую за почесну згадку! І вітаю призерів! 😊 А ще зростання та процвітання спільноті QUAC))
Дякуємо за ваш вклад:)
О, дякую, за виграшний голос, приємно, що мої скромні зусилля оцінили 😊. Вітаю всіх призерів та лауреатів також!
<<<
This entry pairs a crystal structure of Ir3RuRh3 with its theoretical PXRD pattern. Radiation: Cu Kα. Structure: a cell relaxed with PBE.

Cell and atoms:
```
data_Ir3RuRh3
_symmetry_space_group_name_H-M 'C 1 2/m 1'
_symmetry_Int_Tables_number 12
_symmetry_space_group_name_Hall '-C 2y'
_cell_length_a 6.881
_cell_length_b 7.408
_cell_length_c 8.382
_cell_angle_alpha 90.00
_cell_angle_beta 90.11
_cell_angle_gamma 90.00
loop_
_atom_site_label
_atom_site_fract_x
_atom_site_fract_y
_atom_site_fract_z
Ir1 0.053 0.000 0.245
Ir2 0.226 0.315 0.255
Ru1 0.184 0.500 0.536
Rh1 0.000 0.198 0.000
Rh2 0.000 0.198 0.500
Rh3 0.079 0.500 0.843
```

Largest 10 diffraction maxima, low angle first, 10° ≤ 2θ ≤ 80°:
Position (°2θ)  I_rel  hkl
21.20  30  0 0 2
33.71  25  2 0 2
40.27  59  1 3 1
41.20  13  3 1 0
41.81  100  2 2 -2
42.66  33  3 1 1
43.17  32  0 0 4
44.58  33  1 3 -2
46.98  15  1 1 4
51.13  17  1 3 3

* * * * *

Calculated XRD peak list of FeO2 for Cu Kα, 1.54184 Å, from a structure optimized by DFT (PBE+U).
Neutral-atom scattering factors, no anomalous dispersion.

The 6 most intense peaks (10 to 80 degrees two-theta), in order of falling intensity:
2theta	I_rel	hkl
16.9	100	0 0 2
39.7	33	1 0 2
50.3	27	1 0 4
35.7	15	1 0 0
65.0	13	1 0 6
66.8	11	1 1 2

Structure:
```
FeO2
1.0
2.908 0.000 0.000
-1.454 2.518 0.000
0.000 0.000 10.477
Fe O
2 4
Direct
0.000 0.000 0.000
0.000 0.000 0.500
0.333 0.667 0.091
0.333 0.667 0.409
0.667 0.333 0.591
0.667 0.333 0.909
```

* * * * *

No. 1
Structure and calculated XRD peak list of Ge3F (a cell relaxed with GGA-PBE; a wavelength of 1.5418 Å).
Intensities are scaled so that the largest is 1000.

Crystal structure
Lattice parameters (Å, degrees): 4.519 4.519 4.519 60.00 60.00 60.00
Fractional positions:
Ge 0.000 0.000 0.000
Ge 0.250 0.250 0.250
Ge 0.750 0.750 0.750
F 0.500 0.500 0.500

Peak list (11 most intense, 15° ≤ 2θ ≤ 90°, low angle first)
2θ/deg  Rel. int.
24.1  125
27.9  65
39.9  1000
47.2  66
49.4  19
57.7  163
63.4  29
65.3  27
72.4  321
77.6  22
86.1  101

No. 2
Structure and calculated XRD peak list of Te4MoW3Se2S2 (a cell relaxed with GGA-PBE; a wavelength of 1.5418 Å).
Intensities are scaled so that the largest is 1000.

Crystal structure
Lattice parameters (Å, degrees): 3.396 3.396 38.746 90.00 90.00 120.00
Fractional positions:
Te 0.000 0.000 0.000
Te 0.000 0.000 0.097
Te 0.333 0.667 0.437
Te 0.333 0.667 0.533
Mo 0.000 0.000 0.485
W 0.000 0.000 0.861
W 0.333 0.667 0.049
W 0.333 0.667 0.673
Se 0.000 0.000 0.630
Se 0.000 0.000 0.716
S 0.333 0.667 0.822
S 0.333 0.667 0.900

Peak list (12 most intense, 15° ≤ 2θ ≤ 90°, low angle first)
2θ/deg  Rel. int.
30.4  514
32.6  159
33.5  103
35.7  1000
38.4  169
43.2  549
45.0  186
54.0  327
55.4  132
66.4  163
71.5  122
76.2  161

* * * * *

[1]
This entry pairs a crystal structure of Th2Ta3Ge4 with its simulated X-ray diffraction stick pattern. Radiation: Cu Kα, 1.54184 Å. Structure: the PBE geometry in Alexandria.

Atomic structure:
>>>
Дякуємо за те, що ви приєднались 🙏🏻
Вітаю з Днем народження, QUAC 😀
Дякую за почесне місце.
Цікаво було би взяти участь у інших тематичних конкурсах.
Також дякую за згадку спільноті QUAC))